Work order =
Give back the entries further down without additions.

File =
<<<
70
Properties=species:S:1:pos:R:3:forces:R:3 method="wB97M-V/def2-TZVPD" max_force_ev_per_a=3.2 charge=-1 e_homo_ha=-0.108 gap_ev=4.42
O -2.6523 0.8321 2.5755 -0.870 0.595 -0.210
O -1.2388 2.8770 0.4569 0.349 0.126 -1.945
O 1.2094 1.4490 4.0788 0.612 0.366 -0.106
O 1.9399 -0.0711 2.5777 1.660 -0.090 0.060
O 0.0442 1.3685 -3.9071 -0.342 0.750 0.920
O -1.5845 1.5449 4.4176 -0.092 0.400 -0.225
N 2.6742 -3.3407 -4.1389 -0.110 -1.143 -0.455
C -1.3883 -2.3103 4.0290 -0.088 0.056 -0.043
C 0.9492 0.6465 3.1965 -3.121 -0.348 0.336
C -0.7296 3.4582 -3.0159 -0.433 0.554 0.158
C -0.7868 4.2805 -4.1357 -0.030 0.154 0.105
C -1.3458 5.5539 -3.9941 -0.168 -0.075 0.451
C -3.7009 1.6454 3.0833 -0.128 -0.042 0.137
C -0.3800 0.2830 2.7249 0.665 1.567 1.780
C -0.2359 2.0602 -2.9343 0.315 -0.499 -0.355
C -4.9634 1.4942 2.2824 -0.276 -0.050 -0.212
C -0.2482 1.7299 -1.4700 0.200 -0.916 0.159
C 2.4892 -1.0146 -3.3810 -0.178 -1.059 0.102
C -0.6095 -0.9815 2.0071 -0.260 -0.210 -0.609
C -1.8870 5.9689 -2.7528 0.316 -0.460 -0.311
C 0.6166 -1.8173 -1.4531 -0.441 0.998 0.187
C 3.7913 -4.1425 -3.6912 -0.242 0.450 0.080
C 2.3518 -3.4698 -5.5413 0.029 0.394 0.267
C -1.7091 -1.8753 2.6095 0.246 0.263 -0.392
C 2.0963 -2.3768 -3.3059 -0.457 1.050 0.959
C -1.8085 5.1294 -1.6362 -0.035 0.116 0.028
C 0.9210 -0.4403 -1.6054 1.103 -0.917 -0.720
C 4.3387 -0.5728 2.5884 0.066 -0.152 -0.120
C 1.1538 -2.7578 -2.3132 0.856 0.066 -0.826
C -2.4107 -3.3152 4.5475 0.105 0.075 0.198
C -0.9484 2.8375 -0.7341 -0.097 -0.462 1.368
C -1.2055 3.8837 -1.7686 -0.031 0.441 -0.643
C 0.1981 0.5896 -0.8777 -0.329 1.025 -0.092
C 1.9380 -0.0801 -2.5326 -0.732 0.050 0.481
C -1.5244 0.9758 3.3420 2.169 -1.159 -0.097
C 3.1903 0.1530 3.2493 0.000 0.055 0.029
H 2.3526 -4.5331 -5.8188 -0.115 0.134 0.006
H -2.6500 -1.3078 2.5909 0.205 -0.388 -0.006
H 4.7378 -3.7496 -4.1011 0.059 -0.206 0.153
H -5.3705 0.4821 2.3331 0.105 -0.038 -0.073
H -2.0879 -3.7069 5.5157 -0.179 -0.075 0.020
H -0.3827 -2.7467 4.0341 -0.024 -0.032 0.098
H -0.1180 -2.1026 -0.6898 0.306 0.085 -0.356
H 4.4869 -0.2919 1.5389 -0.135 -0.051 0.159
H 0.8582 -3.8087 -2.2689 0.123 0.311 0.101
H -2.2030 5.4160 -0.6620 0.070 0.052 -0.236
H -0.9068 -0.7356 0.9807 -0.266 -0.683 -0.292
H 3.2290 -0.7139 -4.1204 -0.062 -0.109 0.149
H 3.6640 -5.1814 -4.0345 0.120 0.163 0.187
H -4.8453 1.7816 1.2338 0.076 -0.074 0.080
H -1.3753 6.2321 -4.8477 -0.047 -0.178 0.220
H -5.7033 2.1595 2.7343 -0.091 0.015 -0.094
H 5.2501 -0.3116 3.1395 -0.060 -0.026 -0.108
H 3.0910 -0.2126 4.2836 0.049 0.305 -0.191
H 3.4000 1.2320 3.2816 -0.136 -0.328 0.098
H -1.8289 -2.7429 1.9418 -0.056 -0.072 0.241
H -3.3851 -2.8289 4.6770 0.087 -0.140 -0.021
H 3.8304 -4.1044 -2.5952 0.119 -0.151 -0.292
H 0.3578 -1.5093 1.9694 -0.434 -0.057 -0.154
H -0.3820 3.9153 -5.0808 -0.168 0.176 0.208
H 0.0061 0.4709 0.1870 0.093 0.159 -0.027
H -1.3531 -1.4267 4.6913 0.024 -0.326 -0.269
H -3.8970 1.3596 4.1223 0.060 0.232 -0.065
H -3.3729 2.6899 3.0606 -0.030 -0.090 0.172
H 2.2771 0.9570 -2.5969 -0.266 -0.331 0.073
H 3.0919 -2.9677 -6.1811 -0.050 0.030 -0.159
H -2.3649 6.9471 -2.6735 0.191 -0.280 -0.003
H 1.3631 -3.0402 -5.7417 0.225 -0.117 0.006
H 4.2224 -1.6565 2.6622 -0.047 0.012 -0.161
H -2.5358 -4.1591 3.8573 0.026 0.116 0.093

***

86
Properties=species:S:1:pos:R:3:forces:R:3 method="wB97M-V/def2-TZVPD" smiles="CCOP(=O)(CCc1c(PP(=O)(O)O)c(CC(=O)Br)c2c(c1C(F)(F)C(F)(F)F)C(=O)c1cc(C[C@@H](O)CN)cc(B(O)CC)c1C2=O)OCC" max_force_ev_per_a=5.8 charge=0 e_homo_ha=-0.318 gap_ev=7.39
Br -2.7660 2.3095 5.0094 0.634 -0.432 -1.121
P 0.5778 5.2594 0.9232 -3.778 0.394 -3.283
P 1.7389 3.7013 1.9355 0.623 -1.166 0.138
P 4.9806 1.1527 0.2208 1.100 -0.536 2.844
F 2.8401 -1.5462 -1.9823 -1.882 2.524 -0.961
F 2.9122 0.4610 -3.0354 -1.639 -1.223 1.820
F 0.9350 -2.2047 -3.6591 -0.677 3.762 1.242
F -0.4178 -0.4028 -2.9234 3.095 -1.529 -0.803
F 1.1039 -0.1452 -4.5834 -0.724 -1.543 3.025
O -3.7070 -2.3040 4.1235 -1.629 1.943 -1.947
O 0.2547 6.4849 2.0665 1.225 -2.561 -0.764
O -0.7214 4.6270 0.3568 3.489 1.616 1.997
>>>

Completed =
70
Properties=species:S:1:pos:R:3:forces:R:3 method="wB97M-V/def2-TZVPD" max_force_ev_per_a=3.2 charge=-1 e_homo_ha=-0.108 gap_ev=4.42
O -2.6523 0.8321 2.5755 -0.870 0.595 -0.210
O -1.2388 2.8770 0.4569 0.349 0.126 -1.945
O 1.2094 1.4490 4.0788 0.612 0.366 -0.106
O 1.9399 -0.0711 2.5777 1.660 -0.090 0.060
O 0.0442 1.3685 -3.9071 -0.342 0.750 0.920
O -1.5845 1.5449 4.4176 -0.092 0.400 -0.225
N 2.6742 -3.3407 -4.1389 -0.110 -1.143 -0.455
C -1.3883 -2.3103 4.0290 -0.088 0.056 -0.043
C 0.9492 0.6465 3.1965 -3.121 -0.348 0.336
C -0.7296 3.4582 -3.0159 -0.433 0.554 0.158
C -0.7868 4.2805 -4.1357 -0.030 0.154 0.105
C -1.3458 5.5539 -3.9941 -0.168 -0.075 0.451
C -3.7009 1.6454 3.0833 -0.128 -0.042 0.137
C -0.3800 0.2830 2.7249 0.665 1.567 1.780
C -0.2359 2.0602 -2.9343 0.315 -0.499 -0.355
C -4.9634 1.4942 2.2824 -0.276 -0.050 -0.212
C -0.2482 1.7299 -1.4700 0.200 -0.916 0.159
C 2.4892 -1.0146 -3.3810 -0.178 -1.059 0.102
C -0.6095 -0.9815 2.0071 -0.260 -0.210 -0.609
C -1.8870 5.9689 -2.7528 0.316 -0.460 -0.311
C 0.6166 -1.8173 -1.4531 -0.441 0.998 0.187
C 3.7913 -4.1425 -3.6912 -0.242 0.450 0.080
C 2.3518 -3.4698 -5.5413 0.029 0.394 0.267
C -1.7091 -1.8753 2.6095 0.246 0.263 -0.392
C 2.0963 -2.3768 -3.3059 -0.457 1.050 0.959
C -1.8085 5.1294 -1.6362 -0.035 0.116 0.028
C 0.9210 -0.4403 -1.6054 1.103 -0.917 -0.720
C 4.3387 -0.5728 2.5884 0.066 -0.152 -0.120
C 1.1538 -2.7578 -2.3132 0.856 0.066 -0.826
C -2.4107 -3.3152 4.5475 0.105 0.075 0.198
C -0.9484 2.8375 -0.7341 -0.097 -0.462 1.368
C -1.2055 3.8837 -1.7686 -0.031 0.441 -0.643
C 0.1981 0.5896 -0.8777 -0.329 1.025 -0.092
C 1.9380 -0.0801 -2.5326 -0.732 0.050 0.481
C -1.5244 0.9758 3.3420 2.169 -1.159 -0.097
C 3.1903 0.1530 3.2493 0.000 0.055 0.029
H 2.3526 -4.5331 -5.8188 -0.115 0.134 0.006
H -2.6500 -1.3078 2.5909 0.205 -0.388 -0.006
H 4.7378 -3.7496 -4.1011 0.059 -0.206 0.153
H -5.3705 0.4821 2.3331 0.105 -0.038 -0.073
H -2.0879 -3.7069 5.5157 -0.179 -0.075 0.020
H -0.3827 -2.7467 4.0341 -0.024 -0.032 0.098
H -0.1180 -2.1026 -0.6898 0.306 0.085 -0.356
H 4.4869 -0.2919 1.5389 -0.135 -0.051 0.159
H 0.8582 -3.8087 -2.2689 0.123 0.311 0.101
H -2.2030 5.4160 -0.6620 0.070 0.052 -0.236
H -0.9068 -0.7356 0.9807 -0.266 -0.683 -0.292
H 3.2290 -0.7139 -4.1204 -0.062 -0.109 0.149
H 3.6640 -5.1814 -4.0345 0.120 0.163 0.187
H -4.8453 1.7816 1.2338 0.076 -0.074 0.080
H -1.3753 6.2321 -4.8477 -0.047 -0.178 0.220
H -5.7033 2.1595 2.7343 -0.091 0.015 -0.094
H 5.2501 -0.3116 3.1395 -0.060 -0.026 -0.108
H 3.0910 -0.2126 4.2836 0.049 0.305 -0.191
H 3.4000 1.2320 3.2816 -0.136 -0.328 0.098
H -1.8289 -2.7429 1.9418 -0.056 -0.072 0.241
H -3.3851 -2.8289 4.6770 0.087 -0.140 -0.021
H 3.8304 -4.1044 -2.5952 0.119 -0.151 -0.292
H 0.3578 -1.5093 1.9694 -0.434 -0.057 -0.154
H -0.3820 3.9153 -5.0808 -0.168 0.176 0.208
H 0.0061 0.4709 0.1870 0.093 0.159 -0.027
H -1.3531 -1.4267 4.6913 0.024 -0.326 -0.269
H -3.8970 1.3596 4.1223 0.060 0.232 -0.065
H -3.3729 2.6899 3.0606 -0.030 -0.090 0.172
H 2.2771 0.9570 -2.5969 -0.266 -0.331 0.073
H 3.0919 -2.9677 -6.1811 -0.050 0.030 -0.159
H -2.3649 6.9471 -2.6735 0.191 -0.280 -0.003
H 1.3631 -3.0402 -5.7417 0.225 -0.117 0.006
H 4.2224 -1.6565 2.6622 -0.047 0.012 -0.161
H -2.5358 -4.1591 3.8573 0.026 0.116 0.093

***

86
Properties=species:S:1:pos:R:3:forces:R:3 method="wB97M-V/def2-TZVPD" smiles="CCOP(=O)(CCc1c(PP(=O)(O)O)c(CC(=O)Br)c2c(c1C(F)(F)C(F)(F)F)C(=O)c1cc(C[C@@H](O)CN)cc(B(O)CC)c1C2=O)OCC" max_force_ev_per_a=5.8 charge=0 e_homo_ha=-0.318 gap_ev=7.39
Br -2.7660 2.3095 5.0094 0.634 -0.432 -1.121
P 0.5778 5.2594 0.9232 -3.778 0.394 -3.283
P 1.7389 3.7013 1.9355 0.623 -1.166 0.138
P 4.9806 1.1527 0.2208 1.100 -0.536 2.844
F 2.8401 -1.5462 -1.9823 -1.882 2.524 -0.961
F 2.9122 0.4610 -3.0354 -1.639 -1.223 1.820
F 0.9350 -2.2047 -3.6591 -0.677 3.762 1.242
F -0.4178 -0.4028 -2.9234 3.095 -1.529 -0.803
F 1.1039 -0.1452 -4.5834 -0.724 -1.543 3.025
O -3.7070 -2.3040 4.1235 -1.629 1.943 -1.947
O 0.2547 6.4849 2.0665 1.225 -2.561 -0.764
O -0.7214 4.6270 0.3568 3.489 1.616 1.997